LG G3 :: Health App Week View Exercise Stats Shows Yesterdays Date
Apr 24, 2015
I'm pretty happy with the built in LG G3 exercise app, but have noticed that the weekly view of the exercise stats has the wrong date. The app shows that I am recording data for yesterday. Makes me think I'm hearing some twilight zone music.
For example, today is Friday the 24th, it shows no activity for today, but is logging my activity today under Thursday the 23rd.
Yup, twilight zone music. I cannot find somewhere to set the date or such. The daily tracker shows the correct day and date.
Clear data on the app? But then I lose my history. Just seems like a bug in the App software to me.
In Bold 9000 I could see the whole week in the calendar Week View. while Bold 9900 shows only a fraction of the week. In addition, there is a large empty pane in the top of the screen, which further reduces the amont of visible information. Also, even though I selected Sunday as the beginning of the week, this view does not respect this selection and shows the start of the week on various days.Is there a way to see the whole week in the Week View?
I've tried changing the day start & end times but to no avail. When I look at my calendar in day or week view it shows all my appointments (between 9am & 6pm) but it also shows the rest of the time slots in that 24 hour period.
I have an iphone 4 (not 4s) my phone company is chargin me an incredible high number of text messages while I was out of the country, that was 2 months ago. I want to know if there is a way to look for messages by date and not by person I texted, because I really dont remember who do I texted or if I really texted, so I been looking around all my messages for about 2 weeks but I have lots and lots of friends so it is impossible.
After merging to a new email system my Curve has jumbled up all emails with no order by date. I can't find anywhere in the instructions or the machine to select viewing emails by date, newest first.
I have the calendar icon that updates the date. I think it is made by (DMG) It shows the 31st not the 1st. I had this problem back in Jan but the latest update fixed that. Now the problem is back.
Apps and free space Already did security wipe and battery pull but still the date at the text message inbox shows August 31, 2043. No Apps installed since I got the phone last week of October 2011.Never used the browser.Only used the phone for TEXT MESSAGE, CONTACTS, CALENDAR, CAMERA.My text message inbox suddenly shows August 31, 2043. The received and sent items are now messed up due to this date error.
Just noticed that when look at Calendar icon located inside a folder the date is 1 day behind. Today it shows the 2ed. When I click on the folder and the Calendar icon goes to full size it shows the 3rd and still the 2nd on the small view icon. At first I thought the in folder icon just showed a fixed number (like the weather app) but it changes each day and is always behind.
those are my issues: 1) in some applications (such as photos,web...) suddenly quit app. with message internal error application "web or xxx" closed (i flashed my device with emms.
........
(1)
# NaZrCu3Se4, optimized geometry, DFT PBE
# E	-0.173	Ha/atom
# crystal system	cubic
# energy of formation	-891	meV/atom
data_NaZrCu3Se4
_chemical_formula_sum 'Na1 Zr1 Cu3 Se4'
_cell_length_a 6.035
_cell_length_b 6.035
_cell_length_c 6.035
_cell_angle_alpha 90.00
_cell_angle_beta 90.00
_cell_angle_gamma 90.00
_symmetry_space_group_name_H-M 'P 1'
_symmetry_Int_Tables_number 1
loop_
_symmetry_equiv_pos_as_xyz
'x,y,z'
loop_
_atom_site_label
_atom_site_fract_x
_atom_site_fract_y
_atom_site_fract_z
Se1 0.240 0.240 0.240
Na1 0.500 0.500 0.500
Cu1 0.500 0.000 0.000
Se2 0.760 0.240 0.760
Cu2 0.000 0.500 0.000
Se3 0.760 0.760 0.240
Se4 0.240 0.760 0.760
Zr1 0.000 0.000 0.000
Cu3 0.000 0.000 0.500

(2)
# Mg3Ru, optimized geometry, DFT PBE
# E	-0.129	Ha/atom
# crystal system	tetragonal
# energy of formation	13	meV/atom
data_Mg3Ru
_chemical_formula_sum 'Mg3 Ru1'
_cell_length_a 5.129
_cell_length_b 5.129
_cell_length_c 5.129
_cell_angle_alpha 133.31
_cell_angle_beta 133.31
_cell_angle_gamma 68.17
_symmetry_space_group_name_H-M 'P 1'
_symmetry_Int_Tables_number 1
loop_
_symmetry_equiv_pos_as_xyz
'x,y,z'
loop_
_atom_site_label
_atom_site_fract_x
_atom_site_fract_y
_atom_site_fract_z
Mg1 0.500 0.500 0.000
Mg2 0.750 0.250 0.500
Mg3 0.250 0.750 0.500
Ru1 0.000 0.000 0.000

(3)
# SnO2, optimized geometry, DFT PBE
# E	-0.223	Ha/atom
# crystal system	monoclinic
# energy of formation	-1885	meV/atom
data_SnO2
_chemical_formula_sum 'Sn16 O32'
_cell_length_a 6.089
_cell_length_b 6.089
_cell_length_c 20.944
_cell_angle_alpha 79.59
_cell_angle_beta 79.59
_cell_angle_gamma 65.56
_symmetry_space_group_name_H-M 'P 1'
_symmetry_Int_Tables_number 1
loop_
_symmetry_equiv_pos_as_xyz
'x,y,z'
loop_
_atom_site_label
_atom_site_fract_x
_atom_site_fract_y
_atom_site_fract_z
O1 0.450 0.934 0.686
O2 0.821 0.821 0.569
O3 0.164 0.649 0.443
Sn1 0.146 0.146 0.533
O4 0.661 0.661 0.432
O5 0.905 0.905 0.180
O6 0.406 0.406 0.180
O7 0.684 0.684 0.924
Sn2 0.403 0.898 0.866
O8 0.310 0.310 0.573
O9 0.550 0.550 0.325
O10 0.713 0.216 0.935
Sn3 0.821 0.821 0.473
O11 0.801 0.316 0.564
Sn4 0.227 0.227 0.252
Sn5 0.625 0.125 0.624
Sn6 0.998 0.998 0.993
O12 0.934 0.450 0.686
Sn7 0.113 0.613 0.123
O13 0.216 0.713 0.935
O14 0.093 0.093 0.811
O15 0.019 0.518 0.309
Sn8 0.501 0.501 0.994
O16 0.181 0.181 0.924
Sn9 0.341 0.837 0.382
O17 0.050 0.050 0.326
O18 0.937 0.937 0.676
O19 0.152 0.152 0.436
O20 0.321 0.321 0.065
O21 0.793 0.289 0.051
O22 0.428 0.428 0.680
O23 0.935 0.434 0.194
Sn10 0.898 0.403 0.866
O24 0.434 0.935 0.194
Sn11 0.103 0.103 0.714
O25 0.316 0.801 0.564
O26 0.594 0.078 0.809
Sn12 0.125 0.625 0.624
O27 0.518 0.019 0.309
Sn13 0.837 0.341 0.382
Sn14 0.613 0.113 0.123
O28 0.820 0.820 0.065
O29 0.078 0.594 0.809
Sn15 0.419 0.419 0.778
O30 0.289 0.793 0.051
O31 0.649 0.164 0.443
Sn16 0.727 0.727 0.252
O32 0.585 0.585 0.814

(4)
# Lu2ZnIn, optimized geometry, DFT PBE
# E	-0.133	Ha/atom
# crystal system	cubic
# energy of formation	-366	meV/atom
data_Lu2ZnIn
_chemical_formula_sum 'Lu2 Zn1 In1'
........
2)sometimes does not open conversation text --->> Internet link: video
3)when i shoot picture with my camera in gallery picture shows up many times(like 10-15 times)in thumbnail view,also in normal view,when i change picture to the next one its again same picture many times.
I have a new 9900, having been on a 9000 previously. The weekly calendar view in the 9000 showed the full day but in the 9900 it only shows 5 hours, so I need to scroll up and down to see spare slots in each day. I know there is an agenda view as well, but if I prefer the weekly view does anyone know if it is possible to show more hours? Changing font size for just the calendar view, maybe? Or another setting I haven't noticed?
The "Activity" column on the topic list shows some random date. For example, the entry for "Where are the MOTOROLA SF700 headphones" shows the most recent activity as being 16 January, but mtwizard posted at 12.26 this morning.
I just updated the software on my Blackberry Tour and now my calendar is behaving as it did two software generics ago! Specifically, when I change and appointment to a future date and then save that appointment, the calendar moves to that future date! This is terrible if you are moving several items out to future dates! Previously, the changed entry would just disappear from the screen (moved to the new, future date) and I would remain on the day I was working on.Secondly, when I open a future day in calendar, the “All Day Events” do not show first (as they used to). Instead you have to scroll up to see if there are any of these type events.Does anyone know of a way to change these settings/defaults.
I have an app, Activity Classifier, that uses the handset accelerometers to provide information on activities and total exercise. It automates exercise tracking, classifies activities by type and quantifies aerobic intensity. Live data streamed from an Xperia Arc using the app is displayed in a blog. While it is possible to use on the Active it is unfortunately more difficult on the Active than the Arc because the Active accelerometers have a fault that is hard to get around. The problem is that the accelerometers sometimes take quite a while to start sampling when either started or the sampling frequency is changed.Occasionally it can take longer than 90 seconds. The problem can be seen with the app Accelerometer Frequency. Switch between sampling frequencies and notice that sometimes it switches instantly and sometimes it doesn't. To minimise battery consumption Activity Classifier acquires data from the accelerometers for 6 seconds out of every 30. If no other app is using the accelerometers they will start and stop every sampling period. On the Active they frequently don't start and the app detects a faulty accelerometer. The app has an option to keep accelerometers on and if this is selected it will work OK but battery consumption goes up a lot. The Active comes with a pedometer app called Walkmate. I can see from the Accelerometer Frequency app that Walkmate keeps the acclerometers running at 50 Hz and running Walkmate at the same time as Activity Classifier will make Activity Classifier work OK as well. Walkmate seems pretty power efficient and uses less than half the power of the market leading pedometer app Accupedo, run in power balanced mode, but it counts a different number of steps.
Why can't I remove the health app in IOS 8.1.1? I do not give Apple permission to record my medical information.  The automated tracking is unwelcome and unacceptable.
I can't figure out why. Using the WiFi connection I sync the S Health app on my S4 to my Samsung account and then sync it on my S6. It remembers my personal biometrics but it doesn't have any record of my workout activity from the past two months. How can I get this information restored on the S6?
I've just downloaded the health coach app, Alellen Carr stop smoking, when I get to the create a profile ,put my name in, it shuts down, Ive re-loaded it, switched my phone off/on.
I got a replacement phone recently and ever since I disabled things and fiddled with my settings S Health pedometer's shoe icon saying "Paused" has been stuck on my lock screen. I don't have S Health or the pedometer turned on or even on my phone. Now my lock screen doesn't tell me what song I'm listening to anymore.
I updated the s-health app today and I can't find hourly slide bar in the new interface. It would give me a small hourly bar chart, but in the previous version I could slide back and forth through the bar chart, and it would tell me "12:30-1PM, 564 steps". I can't find that information anymore. Where to find that data again?
I was wondering if there was a way to sync my Runkeeper data into the S Health app?
I was under the impression that this would happen automatically.
I have checked my Runkeeper settings and under the sharing settings it says it is connected to S Health however no data has transferred over. Have I missed something?
I have entered medical ID info and shared apps links into the Health app on my iPhone 6 (iOS 8.1.1). I am using an iPhone 5s (iOS 8.1.1) to gather sleep data and am sharing it with the Health app. When I open the Health app on that phone (same Apple ID as iPhone 6) none of the data from other apps and medical ID are present on that phone. Is this working as designed, or is there a switch somewhere that will allow me to have one dataset for the Health app across all devices logged in with my Apple ID?
I have an iPhone 6 plus and recently purchased the Jawbone UP Move. The issue I am having is that both my Jawbone and healthkit are writing steps data to the dashboard. This is causing step counts to be extremely high. Additionally, the Jawbone is duplicating steps that it delivers to healthkit. So what I am seeing is duplicate Jawbone + Healthkit steps in my dashboard. Is there any way to turn off Healthkit from counting steps?Â
Right from day 1 the display date of my E52 does not update and reflect correct the correct date. Got the phone replaced once still the same issue. Called the customer service and they say there is no such problem with E52. They asked me to go to the repair center...(isnt that ridiculous to ask a customer of a new phone to do so?). I went to the repair center with a hope that they will replace it for me but all in vain. They also gave me a ridiculous answer that Nokia does not have a replacement policy...and I was like so is it Nokia's policy to sell broken and faulty mobiles? I was utterly dejected. The electronic store where I bought also refuse to replace because they think there is a problem and no matter I get it changed it will recur. I still do not have a solution as all my ways of getting this problem resolved are exhausted. Anyone has a solution or came across this issue which can be solved without repairing?
I have an X6 16GB, which I turn off at night when I go to bed, about once a week I switch it on in the morning and the date hasn't changed from the previous day. The same problem occurs whether I have automatic time update on or off.Also once or twice a week it will download emails with the date 01/01/2000 instead of todays date. I can log into my emails via Outlook Express on my p.c and the date will be correct there.I have software version v20 installed, the same problems still occurred on the previous firmware as well.Any help greatfully received
I have a problem with the heart rate sensor. I don't have no health apps open. I use google fit and some of my apps are connected to it. But while I'm using my phone and i put my finger over the sensor it lights up red! Even a blanket lights it up. I don't know why it started doing this.